The great jungle was filled with his habitual bustle, thousands of birds, monkeys making his calls, the occasional roar of some predator or the final screech of unfortunate prey give a clear message; life here is hard . That terrible fact was reality too in that tiny island where the house of the powerful Athessa, the sorcerer, lives and command over all things.
This day she was hunting for her prey, how usual nothing what she see could escape of her lethal talons, and the insignificant creature that she capture though small was sufficient for be a small snack. For some reason that creature was capable of talk, possibly some traveler of other world, but she definitively don’t care for that, after all she is one of the biggest magic users in the world of Urihwazji.
With regal authority she have decided make her pet of this diminutive mortal, no why she like him but how a manner for make her exile here a few more tolerable, centuries of loneliness has male her seriously miss have person to command and control.
-Well insignificant thing, I have decided that you will be my pet - She exclaims al the human in the floor with great decision.
Immediately after that for make her point more clear, she use her powers for invoke a small birdcage from thin air. This cage what was floating in middle of the air and before the human could say something flash of light take him from the floor and transport him in a blinking to the interior of his golden prison.
-Don’t tell me, little pet what this is so much better than be my lunch, from now you will owe me how your goddess, obey me how your queen and please without end.- she says with deep vanity.
The little creature dares to talk her for say his name but she ignores his pathetic words
– Doing something what you say- She respond with sarcasm, and before the human talk again she continues: - If you don’t understand I am now your owner, I have the power for call you in the way what I prefers and I say that your new name is Uzisha that mean “Little slave”.
(Records of crystals, as found in the file)
____________
The following is a DFT calculation (PBE) of crystalline Y3Mg at its relaxed geometry.

Cell and atoms, written as POSCAR:
```
Y3Mg
1.0
-0.7928 -3.7595 3.9935
-2.9844 1.3068 4.4828
-5.0142 -2.2405 0.7403
Y Mg
3 1
direct
0.5000 0.5000 0.5000
0.2500 0.2500 0.2500
0.7500 0.7500 0.7500
0.0000 0.0000 0.0000
```

**Energy relative to the elements**: 62 meV/atom
**Space group**: Fm-3m (225)

=====

(1)
Th2S3: relaxed, PBE.

The structure in POSCAR format:
```
Th2S3
1.0
3.939 0.000 0.000
0.000 10.879 0.000
0.000 0.000 10.893
Th S
8 12
Cartesian
2.954 10.746 7.579 Th
0.985 8.880 10.726 Th
0.985 5.306 8.761 Th
2.954 5.573 2.132 Th
2.954 1.999 0.167 Th
0.985 0.133 3.315 Th
2.954 3.440 5.614 Th
0.985 7.439 5.280 Th
2.954 6.788 10.324 S
0.985 4.091 0.569 S
0.985 7.650 2.421 S
2.954 3.229 8.473 S
2.954 6.051 6.808 S
2.954 10.267 1.362 S
0.985 4.828 4.085 S
0.985 1.349 6.015 S
0.985 8.669 7.867 S
2.954 2.210 3.026 S
0.985 0.612 9.532 S
2.954 9.530 4.878 S
```

Values from the calculation:
Space group: Pnma (62)
Final energy in eV per atom: -7.402
Formation energy in meV per atom: -2256

(2)
ThU2S5: relaxed, PBE.

The structure in POSCAR format:
```
ThU2S5
1.0
-2.179 1.184 6.990
3.503 -6.782 2.241
10.030 5.885 2.130
U S Th
8 20 4
Cartesian
1.781 -4.547 4.674 U
1.428 -1.176 8.340 U
7.437 1.227 6.219 U
9.583 4.816 6.693 U
8.177 4.849 1.902 U
7.561 -2.021 3.286 U
3.803 2.289 8.081 U
2.169 2.446 4.023 U
10.945 -0.377 8.733 S
3.637 0.346 2.420 S
5.572 -3.126 8.814 S
8.308 3.476 4.591 S
0.418 0.684 2.661 S
3.047 -3.188 6.770 S
6.646 -1.592 5.979 S
5.809 3.422 2.519 S
2.555 -5.037 1.948 S
1.520 0.409 5.914 S
7.717 -0.058 8.940 S
1.849 -2.123 3.548 S
4.710 1.877 5.383 S
6.318 3.470 7.677 S
9.833 -0.118 5.445 S
5.035 -3.179 3.683 S
8.801 5.322 9.414 S
7.222 0.626 3.468 S
4.103 -0.342 7.919 S
9.494 2.396 7.776 S
3.156 -4.569 9.448 Th
9.161 -2.165 7.337 Th
9.942 1.481 3.028 Th
3.937 -0.923 5.139 Th
```

Values from the calculation:
Space group: Pna2_1 (33)
Final energy in eV per atom: -7.935
Formation energy in meV per atom: -1915

(3)
Ti8S3: relaxed, PBE.

The structure in POSCAR format:
```
Ti8S3
1.0
1.668 12.498 0.000
-1.668 12.498 0.000
0.000 10.441 16.128
S Ti
12 32
Cartesian
0.000 27.250 8.507 S
0.000 9.331 4.519 S
0.000 3.185 2.844 S
0.000 29.452 11.055 S
0.000 22.112 0.526 S
0.000 13.324 15.603 S
0.000 22.739 13.045 S
0.000 12.697 3.083 S
0.000 26.105 11.609 S
0.000 8.186 7.621 S
0.000 32.251 13.284 S
0.000 5.984 5.073 S
0.000 1.172 1.429 Ti
0.000 12.126 12.859 Ti
0.000 19.591 0.660 Ti
0.000 16.683 4.486 Ti
0.000 20.991 9.442 Ti
0.000 11.399 0.907 Ti
0.000 24.037 15.222 Ti
0.000 26.425 4.524 Ti
0.000 18.753 11.642 Ti
0.000 16.470 9.230 Ti
0.000 9.011 11.604 Ti
0.000 18.967 6.898 Ti
0.000 19.198 15.029 Ti
0.000 15.845 15.468 Ti
0.000 26.730 14.074 Ti
0.000 23.311 3.269 Ti
0.000 15.425 12.088 Ti
0.000 20.011 4.041 Ti
0.000 22.056 6.338 Ti
0.000 5.696 2.487 Ti
0.000 10.526 8.595 Ti
0.000 8.706 2.054 Ti
0.000 29.148 6.856 Ti
0.000 11.766 5.475 Ti
0.000 29.740 13.641 Ti
____________
(Here the text continues)
The little human clearly understand and don’t argues with the massive bird, what immediately make notice to the sorcerer that she has don’t analyze his new pet. In a instant take the small cage in her hand and look with analytical eye to the small animal in the inside.
For some reason that thing have some type of second skin over his body what immediately make her order to the human some explanations. For the next hour she make hundreds of questions of what the majority of the answers don’ interest much to her but when she hears about something called masculinity she order him to sayy everething he knows.
The little human try of explain her in the better way home things works in his world, apparently in his world the species of animals are divided in the half for two opposite types of beings, one the female can create new life form her own flesh, like here in Urihwazji but for that was necessary the intervention of a second type of being what after a ritual called sex make possibly the generation of descendents.
Athessa at beginning was seriously skeptics of all that but to remember what the human say what that second skin only cloth, what make her have a small idea.
In a blink with her magic crack of her fingers the clothes of the human disappear for discover if truth in the words of this diminutive “male”. For her surprise what he describes with weird words like “penis” and “testicles” was completely exact.
For some reason in her cold mind com e some thoughts what she have never have in her life, with a big smile in farc face she says for herself.
-Apparently keep this little human how my pet will be better that I suspected.
This day has be so strange for you, the first you know what you are in a other dimension only populated for females for subsequently be captured for a crazy sorcerer what apparently will make you her pet for the rest of your natural life.
But talk with that witch only have make you felt more and more desperate but the fact that you now are naked make you see the situation even more dark and haplessly.
In your gloomy thought you don’t give much attention to your owner but after a long silence you hear a series of words what for reason put you in a state of panic.
-Apparently keep this little human how my pet will be better that I suspected. –says the bird in a sweet tone what is clear was saying for herself.
Without any delay you raise your eyes to her face at the same time that her was looking to you. For a brief moment both of you was looking the eye of each one, what you discover in her glance is a clear emotion of….